Say how many lines of the calculation results further down hold the word "The", as a bare number, please.

/*
Arrangement 1

The following is a PBE-GGA calculation of a geometry-optimized HRuAu2 structure, from the Alexandria database.

Magnetic moment ... 0.275 μB per atom
Density of states at the Fermi level ... 1.84 states/eV/atom

Lattice parameters (Å, degrees): 4.394 4.394 4.394 60.00 60.00 60.00
Fractional coordinates of all 4 atoms:
H1 0.000 0.000 0.000
Ru1 0.500 0.500 0.500
Au1 0.250 0.250 0.250
Au2 0.750 0.750 0.750

---

Arrangement 2

The following is a PBE-GGA calculation of a geometry-optimized HRuAu2 structure, from the Alexandria database.

Magnetic moment ... 0.000 μB per atom
Density of states at the Fermi level ... 1.28 states/eV/atom

Lattice parameters (Å, degrees): 5.250 5.250 5.250 105.88 105.88 116.93
Fractional coordinates of all 8 atoms:
H1 0.000 0.000 0.000
H2 0.750 0.250 0.500
Ru1 0.250 0.750 0.500
Ru2 0.500 0.500 0.000
Au1 0.032 0.625 0.907
Au2 0.375 0.282 0.407
Au3 0.718 0.125 0.093
Au4 0.875 0.968 0.593

---

So which one is most stable? That would be arrangement 2, about 324 meV/atom below the next structure.

* * * * *

Record 1
First-principles (PBEsol) data for crystalline Rb2SrLiCu at its relaxed geometry, as listed in Alexandria.

Lattice parameters (Å, degrees): 6.7025 6.7025 5.2153 90.00 90.00 90.00
Space group P4/mmm (No. 123)
Asymmetric unit:
Rb  0.0000  0.5000  0.0000
Sr  0.0000  0.0000  0.5000
Li  0.5000  0.5000  0.5000
Cu  0.5000  0.5000  0.0000

Summary:
- ρ: 2332 kg/m3
- DOS(E_F): 0.90 states/eV per atom
- Crystal system: tetragonal
- Energy of formation: 427 meV/atom

***

Record 2
First-principles (PBEsol) data for crystalline LiCu3Re at its relaxed geometry, as listed in Alexandria.

Lattice parameters (Å, degrees): 3.8832 3.8832 3.8832 90.00 90.00 90.00
Space group Pm-3m (No. 221)
Asymmetric unit:
Li  0.0000  0.0000  0.0000
Cu  0.0000  0.0000  0.5000
Re  0.5000  0.5000  0.5000

Summary:
- ρ: 10883 kg/m3
- DOS(E_F): 0.30 states/eV per atom
- Crystal system: cubic
- Energy of formation: 934 meV/atom
*/

2